Find the line underneath that holds "0.158 0.342", then restate that line and all lines after it there, please.

1.
DFT (PBEsol) results for a relaxed ScZnSb2 crystal.

Unit cell a=5.675 b=5.675 c=4.267 alpha=98.74 beta=98.74 gamma=39.83
Sites, in units of the cell vectors:
Sc 0.000 0.000 0.000
Zn 0.195 0.195 0.577
Sb 0.445 0.445 0.476
Sb 0.721 0.721 0.058

Summary:
- space-group type = No. 8



2.
DFT (PBEsol) results for a relaxed ZrSc2Sb2 crystal.

Unit cell a=7.597 b=7.597 c=3.879 alpha=90.00 beta=90.00 gamma=90.00
Sites, in units of the cell vectors:
Zr 0.000 0.000 0.000
Zr 0.500 0.500 0.000
Sc 0.158 0.342 0.500
Sc 0.342 0.842 0.500
Sc 0.658 0.158 0.500
Sc 0.842 0.658 0.500
Sb 0.145 0.645 0.000
Sb 0.355 0.145 0.000
Sb 0.645 0.855 0.000
Sb 0.855 0.355 0.000

Summary:
- space-group type = No. 127



3.
DFT (PBEsol) results for a relaxed ZrScSb crystal.

Unit cell a=4.712 b=4.712 c=4.712 alpha=60.00 beta=60.00 gamma=60.00
Sites, in units of the cell vectors:
Zr 0.000 0.000 0.000
Sc 0.500 0.500 0.500
Sb 0.750 0.750 0.750

Summary:
- space-group type = No. 216



4.
DFT (PBEsol) results for a relaxed Sb2Se crystal.

Unit cell a=4.369 b=4.369 c=9.425 alpha=90.93 beta=90.93 gamma=61.48
Sites, in units of the cell vectors:
Sb 0.000 0.000 0.000
Sb 0.000 0.000 0.500
Sb 0.333 0.333 0.824
Sb 0.667 0.667 0.176
Se 0.334 0.334 0.344
Se 0.666 0.666 0.656

Summary:
- space-group type = No. 12



Raw formation energy values (in meV per atom) by entry order: -435.9 -807.8 -359.0 -53.7.

=====

Below is a relaxed structure of Cs2AcMnS4, with properties calculated at the PBE level.

a b c (Å): 8.313 8.313 8.789
angles (deg): 108.36 108.36 90.78
Sites, in units of the cell vectors:
Cs  0.000  0.000  0.000
Cs  0.000  0.000  0.500
Cs  0.000  0.500  0.000
Cs  0.500  0.000  0.500
Ac  0.500  0.500  0.000
Ac  0.500  0.500  0.500
Mn  0.000  0.500  0.500
Mn  0.500  0.000  0.000
S  0.180  0.650  0.422
S  0.245  0.374  0.633
S  0.350  0.820  0.078
S  0.374  0.245  0.133
S  0.626  0.755  0.867
S  0.650  0.180  0.922
S  0.755  0.626  0.367
S  0.820  0.350  0.578

Calculated values
uncorrected formation energy = -1.172 eV per atom
SG = C2/c (15)

=====

The following is a PBE-GGA calculation of crystalline BeCoCl2 at its relaxed geometry, from Alexandria.

## Properties
* V: 19.70 A^3/atom
* formation energy without anion corrections: -0.161 eV/atom
* raw total energy: -30.3 eV/cell
* energy above the lowest structure with this stoichiometry: 0.64 eV per formula unit

```
data_BeCoCl2
_chemical_formula_sum 'Be2 Co2 Cl4'
_space_group_name_H-M_alt 'C m m 2'
_space_group_IT_number 35
_space_group_name_Hall 'C 2 -2'
_cell_length_a 3.0089
_cell_length_b 6.0571
_cell_length_c 8.6489
_cell_angle_alpha 90.00
_cell_angle_beta 90.00
_cell_angle_gamma 90.00
loop_
_atom_site_label
_atom_site_type_symbol
_atom_site_fract_x
_atom_site_fract_y
_atom_site_fract_z
_atom_site_occupancy
Be1 Be 0.0000 0.0000 0.0000 1
Co1 Co 0.0000 0.5000 0.7825 1
Cl1 Cl 0.0000 0.0000 0.5948 1
Cl2 Cl 0.0000 0.5000 0.1554 1
```

Sc 0.158 0.342 0.500
Sc 0.342 0.842 0.500
Sc 0.658 0.158 0.500
Sc 0.842 0.658 0.500
Sb 0.145 0.645 0.000
Sb 0.355 0.145 0.000
Sb 0.645 0.855 0.000
Sb 0.855 0.355 0.000

Summary:
- space-group type = No. 127



3.
DFT (PBEsol) results for a relaxed ZrScSb crystal.

Unit cell a=4.712 b=4.712 c=4.712 alpha=60.00 beta=60.00 gamma=60.00
Sites, in units of the cell vectors:
Zr 0.000 0.000 0.000
Sc 0.500 0.500 0.500
Sb 0.750 0.750 0.750

Summary:
- space-group type = No. 216



4.
DFT (PBEsol) results for a relaxed Sb2Se crystal.

Unit cell a=4.369 b=4.369 c=9.425 alpha=90.93 beta=90.93 gamma=61.48
Sites, in units of the cell vectors:
Sb 0.000 0.000 0.000
Sb 0.000 0.000 0.500
Sb 0.333 0.333 0.824
Sb 0.667 0.667 0.176
Se 0.334 0.334 0.344
Se 0.666 0.666 0.656

Summary:
- space-group type = No. 12



Raw formation energy values (in meV per atom) by entry order: -435.9 -807.8 -359.0 -53.7.

=====

Below is a relaxed structure of Cs2AcMnS4, with properties calculated at the PBE level.

a b c (Å): 8.313 8.313 8.789
angles (deg): 108.36 108.36 90.78
Sites, in units of the cell vectors:
Cs  0.000  0.000  0.000
Cs  0.000  0.000  0.500
Cs  0.000  0.500  0.000
Cs  0.500  0.000  0.500
Ac  0.500  0.500  0.000
Ac  0.500  0.500  0.500
Mn  0.000  0.500  0.500
Mn  0.500  0.000  0.000
S  0.180  0.650  0.422
S  0.245  0.374  0.633
S  0.350  0.820  0.078
S  0.374  0.245  0.133
S  0.626  0.755  0.867
S  0.650  0.180  0.922
S  0.755  0.626  0.367
S  0.820  0.350  0.578

Calculated values
uncorrected formation energy = -1.172 eV per atom
SG = C2/c (15)

=====

The following is a PBE-GGA calculation of crystalline BeCoCl2 at its relaxed geometry, from Alexandria.

## Properties
* V: 19.70 A^3/atom
* formation energy without anion corrections: -0.161 eV/atom
* raw total energy: -30.3 eV/cell
* energy above the lowest structure with this stoichiometry: 0.64 eV per formula unit

```
data_BeCoCl2
_chemical_formula_sum 'Be2 Co2 Cl4'
_space_group_name_H-M_alt 'C m m 2'
_space_group_IT_number 35
_space_group_name_Hall 'C 2 -2'
_cell_length_a 3.0089
_cell_length_b 6.0571
_cell_length_c 8.6489
_cell_angle_alpha 90.00
_cell_angle_beta 90.00
_cell_angle_gamma 90.00
loop_
_atom_site_label
_atom_site_type_symbol
_atom_site_fract_x
_atom_site_fract_y
_atom_site_fract_z
_atom_site_occupancy
Be1 Be 0.0000 0.0000 0.0000 1
Co1 Co 0.0000 0.5000 0.7825 1
Cl1 Cl 0.0000 0.0000 0.5948 1
Cl2 Cl 0.0000 0.5000 0.1554 1
```